........
(1)
2 unconnected molecules or ions with the total composition CH2ClF2NS, computed with ωB97M-V with the def2-TZVPD basis set.

lowest unoccupied orbital energy: -1.719 eV
gap between HOMO and LUMO: 8.1 eV

Each line ends with the Mulliken charge.
Positions of all 8 atoms, in Å:
C -0.17 0.22 -0.03  -0.045
N -1.96 -1.12 -0.07  -0.413
F -3.73 0.29 1.24  -0.319
F -3.96 0.23 -1.14  -0.327
S -3.39 -0.88 0.05  0.547
Cl -0.77 1.77 -0.16  0.018
H 0.26 -0.22 -0.91  0.265
H 0.13 -0.12 0.95  0.275

(2)
CH2ClF2NS in the gas phase, computed with ωB97M-V with the def2-TZVPD basis set.

lowest unoccupied orbital energy: -0.258 eV
gap between HOMO and LUMO: 10.6 eV

Each line ends with the Mulliken charge.
Positions of all 8 atoms, in Å:
C 0.43 1.56 0.59  -0.317
N 1.25 0.44 0.99  -0.338
F 2.55 0.27 -1.24  -0.277
F 3.84 1.29 0.59  -0.225
S 2.72 0.09 0.47  0.678
Cl -0.61 1.11 -0.84  -0.171
H 0.96 2.41 0.38  0.305
H -0.04 1.72 1.56  0.344

(3)
2 unconnected molecules or ions with the total composition CH2ClF2NS, computed with ωB97M-V with the def2-TZVPD basis set.

lowest unoccupied orbital energy (spin up / spin down): -1.786 / -3.251 eV
gap between HOMO and LUMO (spin up / spin down): 8.6 / 5.7 eV

Each line ends with the Mulliken charge.
Positions of all 8 atoms, in Å:
C -0.55 -0.42 -0.04  -0.278
N 1.87 -0.82 1.30  -0.329
F 2.67 -1.51 -1.08  -0.324
F 2.92 0.80 -0.48  -0.325
S 3.01 -0.69 0.42  0.571
Cl -1.18 -1.93 -0.15  0.031
H 0.09 -0.07 -0.83  0.320
H -0.79 0.19 0.81  0.334

What should be chosen as the least stable of them? Choose (3).

(1)
A molecular structure, C2H4N2O3, computed with ωB97M-V with the def2-TZVPD basis set.

lowest unoccupied orbital energy: -0.223 eV
gap between HOMO and LUMO: 9.1 eV

Each line ends with the Mulliken charge.
Positions of all 11 atoms, in Å:
N 0.02 0.17 0.39  0.104
C -0.60 -1.55 -0.19  0.381
N -0.77 1.24 0.08  -0.489
C 0.53 -0.72 -1.03  0.108
O 1.21 0.45 1.17  -0.444
O -1.67 -1.92 -0.02  -0.271
O 0.21 -0.35 -2.15  -0.562
H 1.01 0.09 2.05  0.347
H -1.19 1.66 0.90  0.220
H -0.29 1.92 -0.50  0.231
H 1.54 -1.00 -0.70  0.376

(2)
C2H4N2O3 in the gas phase, computed with ωB97M-V with the def2-TZVPD basis set.

lowest unoccupied orbital energy: 0.704 eV
gap between HOMO and LUMO: 10.1 eV

Each line ends with the Mulliken charge.
Positions of all 11 atoms, in Å:
C 1.29 -0.29 -0.04  0.373
C -1.30 -0.08 -0.46  -0.053
N 1.59 0.93 0.39  -0.080
N 0.00 0.52 -0.85  -0.188
O 1.70 -1.36 -0.07  -0.422
O 0.40 1.58 -0.05  -0.197
O -1.29 -0.90 0.64  -0.530
H -1.75 -0.61 -1.35  0.239
H -2.05 0.70 -0.16  0.227
H 1.97 1.19 1.33  0.294
H -0.57 -1.67 0.62  0.339

(3)
A molecular structure, C2H4N2O3, computed with ωB97M-V with the def2-TZVPD basis set.

lowest unoccupied orbital energy: 0.353 eV
gap between HOMO and LUMO: 10.3 eV

Each line ends with the Mulliken charge.
Positions of all 11 atoms, in Å:
C 0.00 -1.59 -0.03  0.565
C 0.04 0.22 -0.13  0.541
N 0.86 0.61 -1.09  -0.374
O -0.31 2.17 0.73  -0.598
O -0.82 -2.16 0.83  -0.445
N -0.47 0.45 0.96  -0.373
O 0.68 -2.17 -0.83  -0.512
H -1.20 2.46 0.96  0.301
H -1.22 -1.46 1.38  0.428
H 1.09 1.59 -1.16  0.221
H 1.36 -0.10 -1.61  0.247

What should be chosen as the least stable of them? Choose (1).

(1)
A molecular structure, C2H4N2O3, computed with ωB97M-V with the def2-TZVPD basis set.

lowest unoccupied orbital energy: 0.132 eV
gap between HOMO and LUMO: 10.7 eV

Each line ends with the Mulliken charge.
Positions of all 11 atoms, in Å:
C -0.63 -0.42 -0.08  0.649
C -1.72 0.50 0.07  -0.942
N -0.36 -1.58 -0.09  -0.431
N 2.08 0.28 0.05  1.192
O 2.16 -0.94 0.04  -0.700
O 3.01 1.03 0.21  -0.598
O 0.89 0.73 -0.12  -0.538
H -1.44 1.52 0.06  0.346
H -2.36 0.11 0.96  0.262
H -2.27 0.51 -0.77  0.335
H 0.63 -1.74 -0.31  0.427

(2)
C2H4N2O3 in the gas phase, computed with ωB97M-V with the def2-TZVPD basis set.

lowest unoccupied orbital energy: 0.058 eV
gap between HOMO and LUMO: 9.6 eV

Each line ends with the Mulliken charge.
Positions of all 11 atoms, in Å:
C -0.17 0.36 0.10  0.373
........

What is needed: return the whole of the entries earlier on character by character.

(1)
2 unconnected molecules or ions with the total composition CH2ClF2NS, computed with ωB97M-V with the def2-TZVPD basis set.

lowest unoccupied orbital energy: -1.719 eV
gap between HOMO and LUMO: 8.1 eV

Each line ends with the Mulliken charge.
Positions of all 8 atoms, in Å:
C -0.17 0.22 -0.03  -0.045
N -1.96 -1.12 -0.07  -0.413
F -3.73 0.29 1.24  -0.319
F -3.96 0.23 -1.14  -0.327
S -3.39 -0.88 0.05  0.547
Cl -0.77 1.77 -0.16  0.018
H 0.26 -0.22 -0.91  0.265
H 0.13 -0.12 0.95  0.275

(2)
CH2ClF2NS in the gas phase, computed with ωB97M-V with the def2-TZVPD basis set.

lowest unoccupied orbital energy: -0.258 eV
gap between HOMO and LUMO: 10.6 eV

Each line ends with the Mulliken charge.
Positions of all 8 atoms, in Å:
C 0.43 1.56 0.59  -0.317
N 1.25 0.44 0.99  -0.338
F 2.55 0.27 -1.24  -0.277
F 3.84 1.29 0.59  -0.225
S 2.72 0.09 0.47  0.678
Cl -0.61 1.11 -0.84  -0.171
H 0.96 2.41 0.38  0.305
H -0.04 1.72 1.56  0.344

(3)
2 unconnected molecules or ions with the total composition CH2ClF2NS, computed with ωB97M-V with the def2-TZVPD basis set.

lowest unoccupied orbital energy (spin up / spin down): -1.786 / -3.251 eV
gap between HOMO and LUMO (spin up / spin down): 8.6 / 5.7 eV

Each line ends with the Mulliken charge.
Positions of all 8 atoms, in Å:
C -0.55 -0.42 -0.04  -0.278
N 1.87 -0.82 1.30  -0.329
F 2.67 -1.51 -1.08  -0.324
F 2.92 0.80 -0.48  -0.325
S 3.01 -0.69 0.42  0.571
Cl -1.18 -1.93 -0.15  0.031
H 0.09 -0.07 -0.83  0.320
H -0.79 0.19 0.81  0.334

What should be chosen as the least stable of them? Choose (3).

(1)
A molecular structure, C2H4N2O3, computed with ωB97M-V with the def2-TZVPD basis set.

lowest unoccupied orbital energy: -0.223 eV
gap between HOMO and LUMO: 9.1 eV

Each line ends with the Mulliken charge.
Positions of all 11 atoms, in Å:
N 0.02 0.17 0.39  0.104
C -0.60 -1.55 -0.19  0.381
N -0.77 1.24 0.08  -0.489
C 0.53 -0.72 -1.03  0.108
O 1.21 0.45 1.17  -0.444
O -1.67 -1.92 -0.02  -0.271
O 0.21 -0.35 -2.15  -0.562
H 1.01 0.09 2.05  0.347
H -1.19 1.66 0.90  0.220
H -0.29 1.92 -0.50  0.231
H 1.54 -1.00 -0.70  0.376

(2)
C2H4N2O3 in the gas phase, computed with ωB97M-V with the def2-TZVPD basis set.

lowest unoccupied orbital energy: 0.704 eV
gap between HOMO and LUMO: 10.1 eV

Each line ends with the Mulliken charge.
Positions of all 11 atoms, in Å:
C 1.29 -0.29 -0.04  0.373
C -1.30 -0.08 -0.46  -0.053
N 1.59 0.93 0.39  -0.080
N 0.00 0.52 -0.85  -0.188
O 1.70 -1.36 -0.07  -0.422
O 0.40 1.58 -0.05  -0.197
O -1.29 -0.90 0.64  -0.530
H -1.75 -0.61 -1.35  0.239
H -2.05 0.70 -0.16  0.227
H 1.97 1.19 1.33  0.294
H -0.57 -1.67 0.62  0.339

(3)
A molecular structure, C2H4N2O3, computed with ωB97M-V with the def2-TZVPD basis set.

lowest unoccupied orbital energy: 0.353 eV
gap between HOMO and LUMO: 10.3 eV

Each line ends with the Mulliken charge.
Positions of all 11 atoms, in Å:
C 0.00 -1.59 -0.03  0.565
C 0.04 0.22 -0.13  0.541
N 0.86 0.61 -1.09  -0.374
O -0.31 2.17 0.73  -0.598
O -0.82 -2.16 0.83  -0.445
N -0.47 0.45 0.96  -0.373
O 0.68 -2.17 -0.83  -0.512
H -1.20 2.46 0.96  0.301
H -1.22 -1.46 1.38  0.428
H 1.09 1.59 -1.16  0.221
H 1.36 -0.10 -1.61  0.247

What should be chosen as the least stable of them? Choose (1).

(1)
A molecular structure, C2H4N2O3, computed with ωB97M-V with the def2-TZVPD basis set.

lowest unoccupied orbital energy: 0.132 eV
gap between HOMO and LUMO: 10.7 eV

Each line ends with the Mulliken charge.
Positions of all 11 atoms, in Å:
C -0.63 -0.42 -0.08  0.649
C -1.72 0.50 0.07  -0.942
N -0.36 -1.58 -0.09  -0.431
N 2.08 0.28 0.05  1.192
O 2.16 -0.94 0.04  -0.700
O 3.01 1.03 0.21  -0.598
O 0.89 0.73 -0.12  -0.538
H -1.44 1.52 0.06  0.346
H -2.36 0.11 0.96  0.262
H -2.27 0.51 -0.77  0.335
H 0.63 -1.74 -0.31  0.427

(2)
C2H4N2O3 in the gas phase, computed with ωB97M-V with the def2-TZVPD basis set.

lowest unoccupied orbital energy: 0.058 eV
gap between HOMO and LUMO: 9.6 eV

Each line ends with the Mulliken charge.
Positions of all 11 atoms, in Å:
C -0.17 0.36 0.10  0.373